Entries
<<<
This entry pairs a crystal structure of K2V2PbS7 with its theoretical PXRD pattern. Radiation: a wavelength of 1.5418 Å. Structure: a DFT-relaxed cell (GGA-PBE, Alexandria).
Peak positions follow from Bragg's law for the DFT cell and can differ from measured ones.

Peak list (10 most intense, 2θ = 15–90°, sorted by position)
index  2θ (°)  intensity
0 1 2  16.32  94
1 0 4  19.62  36
0 1 5  21.78  100
1 1 0  26.25  67
1 1 6  32.48  43
0 2 4  32.99  21
1 0 10  35.15  30
1 1 9  39.01  36
1 2 5  43.75  25
3 0 0  46.33  34

Crystal structure
```
data_K2V2PbS7
_chemical_formula_sum 'K6 V6 Pb3 S21'
_space_group_name_H-M_alt 'R 3 2'
_space_group_IT_number 155
_space_group_name_Hall 'R 3 2"'
_cell_length_a 6.7890
_cell_length_b 6.7890
_cell_length_c 28.3446
_cell_angle_alpha 90.00
_cell_angle_beta 90.00
_cell_angle_gamma 120.00
loop_
_atom_site_label
_atom_site_type_symbol
_atom_site_fract_x
_atom_site_fract_y
_atom_site_fract_z
K1 K 0.0000 0.0000 0.1991
V1 V 0.0000 0.0000 0.4218
Pb1 Pb 0.0000 0.0000 0.0000
S1 S 0.0000 0.0000 0.5000
S2 S 0.0211 0.3799 0.2670
```

=====

Calculated XRD peak list of SrZnSbBr for Cu Kα, 1.54184 Å, from a structure optimized by DFT (GGA-PBE).
No peak broadening, texture or thermal motion is included.

Atomic structure:
Cell: 14.828 14.828 14.828 Å, 17.73 17.73 17.73°
Fractional positions:
Sr  0.089  0.089  0.089
Sr  0.911  0.911  0.911
Zn  0.310  0.310  0.310
Zn  0.690  0.690  0.690
Sb  0.374  0.374  0.374
Sb  0.626  0.626  0.626
Br  0.208  0.208  0.208
Br  0.792  0.792  0.792

Main lines, sorted by position (2θ = 10–80°):
2θ/deg	I (rel.)
23.91	47.7
26.66	83.6
30.45	56.7
34.99	33.0
39.44	100.0
41.86	40.1
>>>

To do
Your job: repeat the part of the block earlier on that starts with the line with "Structure:" and stops after the one with "texture or".

Completed
This entry pairs a crystal structure of K2V2PbS7 with its theoretical PXRD pattern. Radiation: a wavelength of 1.5418 Å. Structure: a DFT-relaxed cell (GGA-PBE, Alexandria).
Peak positions follow from Bragg's law for the DFT cell and can differ from measured ones.

Peak list (10 most intense, 2θ = 15–90°, sorted by position)
index  2θ (°)  intensity
0 1 2  16.32  94
1 0 4  19.62  36
0 1 5  21.78  100
1 1 0  26.25  67
1 1 6  32.48  43
0 2 4  32.99  21
1 0 10  35.15  30
1 1 9  39.01  36
1 2 5  43.75  25
3 0 0  46.33  34

Crystal structure
```
data_K2V2PbS7
_chemical_formula_sum 'K6 V6 Pb3 S21'
_space_group_name_H-M_alt 'R 3 2'
_space_group_IT_number 155
_space_group_name_Hall 'R 3 2"'
_cell_length_a 6.7890
_cell_length_b 6.7890
_cell_length_c 28.3446
_cell_angle_alpha 90.00
_cell_angle_beta 90.00
_cell_angle_gamma 120.00
loop_
_atom_site_label
_atom_site_type_symbol
_atom_site_fract_x
_atom_site_fract_y
_atom_site_fract_z
K1 K 0.0000 0.0000 0.1991
V1 V 0.0000 0.0000 0.4218
Pb1 Pb 0.0000 0.0000 0.0000
S1 S 0.0000 0.0000 0.5000
S2 S 0.0211 0.3799 0.2670
```

=====

Calculated XRD peak list of SrZnSbBr for Cu Kα, 1.54184 Å, from a structure optimized by DFT (GGA-PBE).
No peak broadening, texture or thermal motion is included.